Grandparents and Waterton Nat'l Park
It sure is nice to live closer to everyone and have a near constant stream of visitors stopping in! In August, we had a great visit with Granny and also with Grandpa and Grandma. We took Granny and Grandpa down for a walk at the dog park one afternoon. Calli loves to prompt pictures out of me, as in, "Take a picture of me standing on this rock!" or, "wouldn't this be a cute picture?"
Nellie spent a few months living at Grandma and Grandpa's house in BC while we were moving and settling in, so Nellie loved having some reconnection time with Grandpa again!
We had plans to visit the Calgary Heritage Park one Sunday afternoon but after stopping in at the lovely Bearspaw market and nearly being caught in a rain storm, we decided to just drive on to Canmore and have coffee there!! We wandered through the streets a bit and stopped in for a cup of coffee and hot chocolate for the girls.
Granny and Calli mugging it up for the camera! (Haha! Pardon the pun!)
My Godfather and his wife live and work part time in Waterton National Park, so my Mum decided we HAD to take a drive down to see them while the park was still open. Adam was off at work in Montreal, so it was a girls trip. The scenery on the way is truly breath-taking. The drive was only 2.5 hours and a constant reminder of how very lucky we are to be living here!! We marvelled at the sheer size of these windmills and also at how many there are scattered across the landscape!
We met up with Wayne and Jean and after having a nice lunch at the golf course, we headed into town to see the sights! We stopped in and saw where Jean works and bought a couple of really cool books, then wandered along the main street visiting a few of the stores along the way.
What a beautiful place to be! There were deer sitting in peoples' yards happily taking in the last of the summer sun and we watched close to 20 deer grazing in a soccer field while a few brave (human) souls kicked the ball around, being careful to stay out of the way of the animals!
(The article is interrupted by calculated crystals)
____________
(1)
The following is a DFT calculation (PBE) of a relaxed structure of Ta10Zn2Si9S9O72.

Values from the calculation:
formation energy from the elements = -275.0 eV/f.u.
energy = -7.73 eV/atom

Cell: 8.8491 8.8850 22.7993 Å, 89.74 89.90 60.14°
Atoms (fractional coordinates):
Ta (0.0000, 0.0000, 0.0000)
Ta (0.0000, 0.0111, 0.4989)
Ta (0.3229, 0.3400, 0.3847)
Ta (0.3471, 0.3408, 0.8884)
Ta (0.6658, 0.6747, 0.5461)
Ta (0.6667, 0.6661, 0.8417)
Ta (0.6739, 0.6707, 0.3371)
Ta (0.6760, 0.6756, 0.0499)
Ta (0.9945, 0.0148, 0.7189)
Ta (0.9971, 0.0105, 0.2148)
Zn (0.3067, 0.3602, 0.1675)
Zn (0.3394, 0.3476, 0.6749)
Si (0.0066, 0.7177, 0.1105)
Si (0.0483, 0.3411, 0.2732)
Si (0.3845, 0.6783, 0.9465)
Si (0.3875, 0.9573, 0.4418)
Si (0.6085, 0.3538, 0.7732)
Si (0.6604, 0.3954, 0.4424)
Si (0.6676, 0.9544, 0.9427)
Si (0.9494, 0.6766, 0.4429)
Si (0.9547, 0.3895, 0.9451)
S (0.0024, 0.2948, 0.6107)
S (0.0429, 0.6304, 0.7741)
S (0.2832, 0.7264, 0.6098)
S (0.2863, 0.0074, 0.1091)
S (0.3345, 0.6313, 0.2754)
S (0.3356, 0.0546, 0.7744)
S (0.6177, 0.0585, 0.2749)
S (0.7134, 0.2945, 0.1099)
S (0.7155, 0.0080, 0.6098)
O (0.0124, 0.8344, 0.0546)
O (0.0210, 0.1708, 0.2654)
O (0.0226, 0.1859, 0.5587)
O (0.0275, 0.8107, 0.7637)
O (0.1113, 0.5291, 0.7209)
O (0.1286, 0.3794, 0.2182)
O (0.1395, 0.3721, 0.9255)
O (0.1414, 0.5117, 0.4322)
O (0.1534, 0.5573, 0.8261)
O (0.1540, 0.3133, 0.6191)
O (0.1686, 0.3141, 0.3334)
O (0.1743, 0.8203, 0.5575)
O (0.1747, 0.0302, 0.7645)
O (0.1747, 0.0340, 0.0571)
O (0.1752, 0.8095, 0.2679)
O (0.1796, 0.5382, 0.1114)
O (0.1937, 0.8487, 0.9532)
O (0.1940, 0.9852, 0.4578)
O (0.1963, 0.9839, 0.1628)
O (0.2002, 0.8375, 0.6624)
O (0.2945, 0.1655, 0.8263)
O (0.2970, 0.5577, 0.6139)
O (0.3032, 0.5528, 0.3287)
O (0.3132, 0.1529, 0.1161)
O (0.3581, 0.5117, 0.9321)
O (0.3588, 0.1294, 0.7207)
O (0.3675, 0.1480, 0.4333)
O (0.3740, 0.5265, 0.2237)
O (0.4542, 0.8409, 0.1036)
O (0.4582, 0.7133, 0.6028)
O (0.4697, 0.8385, 0.3855)
O (0.4711, 0.7076, 0.8865)
O (0.4829, 0.6634, 0.2874)
O (0.4842, 0.8791, 0.7838)
O (0.4942, 0.1462, 0.9328)
O (0.4973, 0.3705, 0.4284)
O (0.5062, 0.3819, 0.7139)
O (0.5059, 0.6414, 0.0028)
O (0.5060, 0.8672, 0.5017)
O (0.5180, 0.1315, 0.2224)
O (0.5216, 0.3148, 0.8309)
O (0.5408, 0.1674, 0.3285)
O (0.5443, 0.1575, 0.6157)
O (0.5477, 0.3059, 0.1196)
O (0.6324, 0.8680, 0.0003)
O (0.6339, 0.5148, 0.5016)
O (0.6434, 0.8811, 0.2862)
O (0.6498, 0.5104, 0.7864)
O (0.6973, 0.8410, 0.8837)
O (0.7004, 0.4837, 0.3871)
O (0.7019, 0.4672, 0.1039)
O (0.7088, 0.8440, 0.6038)
O (0.7988, 0.0367, 0.2691)
O (0.8023, 0.1893, 0.0578)
O (0.8066, 0.0297, 0.5582)
O (0.8116, 0.1746, 0.7631)
O (0.8229, 0.7119, 0.1020)
O (0.8260, 0.7149, 0.3867)
O (0.8299, 0.4802, 0.8870)
O (0.8303, 0.9818, 0.6627)
O (0.8303, 0.9871, 0.9528)
O (0.8310, 0.2114, 0.1638)
O (0.8318, 0.2071, 0.4587)
O (0.8393, 0.4662, 0.6044)
O (0.8525, 0.5082, 0.2884)
O (0.8600, 0.6444, 0.5019)
O (0.8638, 0.5167, 0.0011)
O (0.8635, 0.6661, 0.7840)
O (0.9710, 0.8454, 0.4579)
O (0.9715, 0.8504, 0.1673)
____________
(Back to the article)
Then we took a drive down to the waterfront and checked out the local campsite. It was VERY windy, so the water was pretty choppy.
Granny and Calli decided to get out and see if they could sit still or if they'd be blown away like the fall leaves.
Marin didn't want to partake in getting blown away, so she stayed snug as a bug in a rug in the care instead, but she was still prone to the wind when Calli was getting back in.
We popped over to the Buffalo Paddock and drove through the park looking for these amazing beasts! I think buffalo are one of those things that never cease to amaze me.
The Prince of Wales hotel in Waterton is a sight to see. Apparently, it is one of the most photographed landmarks around. The reviews of the rooms aren't great, but it is nice to look at!
We got a nice tour of the campsite where Wayne and Jean live over the summer months and got to see their digs, which are pretty nice!!! Marin and Calli had a great time running around and being captured and tickled by Jean.
Marin sitting on an old piece of machinery in the campground...and no, that is not a real bear in the background.
Calli on the same machine...with the same cutout bear in the background.
We lucked out with a beautiful sunset on the drive home. We'll definitely visit Waterton again next year and show Adam all the things he missed!

Marin and Grandma enjoying a little snuggle time!
